Teaching Kids To Pray (5 Easy Methods + Books)

Praying is not an optional activity for a Christian. It is food and drink to our spirit.  Praying allows us to communicate with our Creator, ruler of heaven and earth.

== Here the text breaks off for materials data ==
+++
The following is a DFT calculation (PBE) of a relaxed Nb2ZnSeS crystal.

abc: 4.919 4.194 4.919
angles: 90.00 90.00 90.00
Sites, in units of the cell vectors:
Zn 0.000 0.000 0.000
Nb 0.000 0.000 0.500
Nb 0.500 0.000 0.000
S 0.000 0.500 0.000
Se 0.500 0.500 0.500

Values from the calculation:
The total moment comes out at 0.0 μB per formula unit. The value obtained for the formation energy (no corrections) is 0.96 eV/atom. The value obtained for the total energy is -4.8474 eV per atom. The space group is No. 123.


The following is a DFT calculation (PBE) of a relaxed Nb4SiS crystal.

abc: 5.828 6.307 6.845
angles: 113.17 110.66 99.10
Sites, in units of the cell vectors:
Nb 0.180 0.320 0.372
Nb 0.692 0.052 0.372
Nb 0.308 0.948 0.628
Nb 0.652 0.380 0.130
Nb 0.820 0.680 0.628
Nb 0.978 0.750 0.130
Nb 0.022 0.250 0.870
Nb 0.348 0.620 0.870
S 0.742 0.992 0.984
S 0.258 0.008 0.016
Si 0.393 0.643 0.285
Si 0.607 0.357 0.715

Values from the calculation:
The total moment comes out at 0.0 μB per formula unit. The value obtained for the formation energy (no corrections) is -0.36 eV/atom. The value obtained for the total energy is -8.6652 eV per atom. The space group is No. 15.


The following is a DFT calculation (PBE) of a relaxed Nb2Si2S crystal.

abc: 6.812 6.812 3.539
angles: 90.00 90.00 90.00
Sites, in units of the cell vectors:
Nb 0.833 0.667 0.000
Nb 0.667 0.167 0.000
Nb 0.333 0.833 0.000
Nb 0.167 0.333 0.000
Si 0.874 0.374 0.500
Si 0.126 0.626 0.500
Si 0.626 0.874 0.500
Si 0.374 0.126 0.500
S 0.500 0.500 0.000
S 0.000 0.000 0.000

Values from the calculation:
The total moment comes out at 0.0 μB per formula unit. The value obtained for the formation energy (no corrections) is -0.43 eV/atom. The value obtained for the total energy is -7.4493 eV per atom. The space group is No. 127.


The following is a DFT calculation (PBE) of a relaxed Nb2SiS6 crystal.

abc: 3.328 7.109 8.972
angles: 81.15 79.31 76.47
Sites, in units of the cell vectors:
S 0.329 0.807 0.535
S 0.985 0.809 0.221
S 0.671 0.193 0.465
S 0.015 0.191 0.779
S 0.805 0.265 0.126
S 0.195 0.735 0.874
Nb 0.324 0.062 0.290
Nb 0.676 0.938 0.710
Si 0.000 0.000 0.000

Values from the calculation:
The total moment comes out at 0.0 μB per formula unit. The value obtained for the formation energy (no corrections) is -0.73 eV/atom. The value obtained for the total energy is -6.3232 eV per atom. The space group is No. 12.


The following is a DFT calculation (PBE) of a relaxed NbSiS crystal.

abc: 3.141 3.141 13.443
angles: 103.33 110.49 59.99
Sites, in units of the cell vectors:
Nb 0.403 0.957 0.459
Nb 0.753 0.804 0.973
Si 0.308 0.191 0.139
Si 0.852 0.572 0.296
S 0.910 0.332 0.588
S 0.912 0.096 0.844

Values from the calculation:
The total moment comes out at 0.0 μB per formula unit. The value obtained for the formation energy (no corrections) is -0.52 eV/atom. The value obtained for the total energy is -7.0606 eV per atom. The space group is No. 8.
+++

Teaching kids to pray by word and example is important, just like teaching them to walk and talk.  As believers, parents must do this.

Bedtime Prayers With Kids

I remember night time prayers with my parents.  We always said a short prayer (below). I’m sure it was because it was convenient and quick.  After all, everyone wanted to get to bed, or at least get the children to bed!

“Now I lay me down to sleep,

I pray the Lord my soul to keep;

If I should die before I wake,

I pray the Lord my soul to take.”

Why that didn’t terrify us as kids I have no idea!  I don’t think anyone thought much about it.  These day, putting the thought of dying into a child’s mind, while they are sleeping no less, would be wildly inappropriate. No wonder we thought monsters lived under the bed!

Thankfully, adaptations to the original prayer are now like this:

Now I lay me down to sleep,​

I pray the Lord my soul to keep;

Angels watch me through the night,​ 

And wake me​ with the morning light.​

As a child, I wish I had been taught this verse instead of the first!

My parents set a good example by praying on a regular basis with groups at prayer meetings and going to services Wednesday nights. On Sunday’s they went twice.

I regularly saw my father on his knees, praying in the bedroom.

I knew when I had children that our nightly prayer time needed to be special.  And it was.  It was a chance to connect with them and talk about the day.

Each night I would spend a good chunk of time praying for all the things we were thankful for and all the typical childhood concerns.  But the most important element of praying with the kids was directing them towards their heavenly Father and listening to His guidance and purpose for their futures.

Not their mom’s will for them, or their dad’s or teachers, but God’s (also read the 5 Finger Prayer For Kids). 

What Age Is Best To Teach Kids To Pray

Teaching a child to pray before the age of 2 probably won’t happen, but you can pray to them and for them before they begin speaking. As their words take shape, prayers will already be a normal occurrence for them and they may take to it with ease.

As soon as a child can speak, they should be encouraged to share in conversations with God before meals, before bedtime, and any moment when the time is appropriate.  They can pray for a friend, for forgiveness, and for their ailing grandparent.

>> Learn the ACTS Prayer Method

We all should pray without ceasing and that means anytime we need to talk to God.

How To Teach Children To Pray

Teaching children to pray by example is the best method, but it is also important for them to understand the reasons why we pray. Below, I’ve broken the process into easy-to-follow steps which should make it easy for teaching kids to pray.

Step 1: Discuss

First begin with a discussion about the day, about friends, about events that happened – good and bad. Share what happened to each of you and why it mattered.

When discussing the day, group events into a) blessings, b) challenges, or c) requests.

Step 2: Provide an Example

Parents can take the lead in this by talking about a problem that they might have (age appropriate and not too serious of course) and then pray about it first. Simple prayers usually touch on similar components:

  • Introduction
  • Thank you
  • Challenges and requests
  • Closing – ALWAYS pray for God’s will be done

Step 3: Let Your Child Imitate

Your prayer, will give your child an example and ideas on how to pray. Their prayer will likely be derivative of yours, and that’s expected, but they will have to pray in their own words about their own day.

Kids are very observant and it’s amazing what can be discussed when everyone feels safe.  For example, a father might have received too much change at the store and gave it back. If your child noticed, it makes for a good prayer point. Additional prayer points include:

  • Being honest
  • Doing the right thing
  • Forgiveness
  • Blessings
  • Self-discipline

>> Also read: How To Teach The Trinity To Kids

Step 4: Review the Prayer

Ask your child how they feel about the prayer and if they missed anything. If they requested many things (which is often the case) make sure they also gave ample thanks in their prayer.

If I child isn’t satisfied with their prayer, allow them a chance to say another one.

Step 5: Keep a Prayer Journal (optional)

Keeping a prayer journal for your child is a great way to remember prayers and take notes. Notes can be a list of things to pray for, but you can also include opportunities to improve your child’s prayer and build onto them.

Write down a few of the areas that need improvement and you can focus on those in future prayers.

Keeping a journal is also fun for children to look back on when they are older.

Once children begin communicating better, bedtime prayers can become more meaningful to the child and parent. 

Other Options For Teaching Prayers

A search on the internet will bring up many other catchy methods to give children a structure for their prayers. These include the “five fingers” method to the “God Can” method (from Child Evangelism Fellowship).

Picture books abound with great art and lovely phrases to elevate prayers to poetry.  Rhyming prayer poetry is the most common as in “Now I Lay Me Down to Sleep” before bedtime 

At dinner this one is popular; 

“Thank you for the world so sweet, 

Thank you for the food we eat, 

Thank you for the birds that sing. 

Thank you God for everything.”

Prayer Picture and Board Books for Toddlers

1. Baby’s First Book Of Prayers – Melody Carlson

2. Prayers For Children – Eloise Wilkin

3. Snuggle Time Prayers – Glenys Nellis

>>view these books on Amazon

These are for small children and are different than the many devotional books for older kids.  These picture and board books offer rhyming prayers that will help the child remember them. 

Devotional prayer books are for older children. They often include a scripture verse or story, an application section and finally a prayer specific to that application.

Here are a 3 that are recommended;

1. The Purpose Driven Life Devotional For Kids – Rick Warren

2. 52 Weeks With Jesus For Kids: A Devotional – James Merrit

3. The Superheroes Devotional For Kids: 60 Inspirational Readings (ages 8-12) – Ed Strauss

>> view these books on Amazon


Teaching children to pray is not so much a chore or method as it is a blessing.  Jesus said “for such is the kingdom of heaven”. 

They are ready willing and able to talk to their heavenly father and when they observe mom and dad praying it becomes the most natural activity in the world.

In your child’s early years, you will have to be close to take care of them. During this time, pray for them and to them so they learn the process. Although they can’t speak when they are very young, they will be listening to every word you speak.

The prayer teaching process can be broken down into 5 parts. They are straightforward and easy to follow.

First, discuss the day and any challenges or blessings they faced. Second, set an example with your own prayer so they can hear how to pray. Third, allow them to imitate your prayer and adapt it into their own. Fourth, review the prayer to tie up loose ends. Lastly, keep a journal for you and your child (it will be something to look back on in the future.

Don’t forget to use other resources as well. There are plenty of books and other prayer strategies to teach your child. Find a method that works best for your family.